Tuesday, November 1, 2011

Converting M1.9 Plug-ins to M2 - Block Part 4 - Fixing Old Code

This is part five of my series concerning porting Moodle 1.9 code to Moodle 2.

I want to tackle the display bug I see when the block updates. If you remember, when I installed the working version of the block, it displayed the tweets initially, but displayed a "404" error for each update after that.

My initial thoughts on this is that it is caused by multiple problems. Database API used in the "ajax_update.php" script, changed database table name and YUI scripts no longer located in the same places.

To begin I open up the "ajax_update.php" script.

This script is very small - it only contains the following lines of code:
$block = block_instance('twitter_search', get_record_select('block_instance','id="'.required_param("blockid",PARAM_NUMBER).'"'));
echo $block->get_content()->text
It is small for a reason: it gets called repeatedly by the block through its Ajax javascript functions, to reload the tweets. It does this by reinstantiating the block instance and calling its get_content method.

Looking at the code above, I see two problems: the table name for block instances has been changed from "block_instance" in Moodle 1.9, to "block_instances" in Moodle 2, and  it is using the old data API call, get_record_select. These both have to be fixed.

The new database API is similar to the old one, but with significant changes. The ones I care about here are:
  • All database API functions are now methods of the global database object $DB.
  • All parameters to the database functions are now passed as array "key => value" pairs instead of individual parameters.
I'm also going to break the old single line multiple function code line into three lines so its easier to see what is happening. When I'm done, the new code looks like this:
require_once '../../config.php';
$id = required_param('blockid', PARAM_NUMBER);
$bi = $DB->get_record('block_instances', array('id' => $id));
$block = block_instance('twitter_search', $bi);
echo $block->get_content()->text;
The main changes are in the third line. Here I have changed get_record_select to $DB->get_record, changed the table name to the new name and passed the "id" argument in a hashed array format. (Note that I don't have to declare $DB as a global, as this script is running at the top level and not in a function call.) I'm going to save this code and see if it fixes my problem.

I reload my page with the block, click the "update" link, and I see new tweets. No more "404" error. But, there are a bunch of warnings now, indicating that I have a coding error involving $PAGE->context. Specifically:
Coding problem: $PAGE->context was not set. You may have forgotten to call require_login() or $PAGE->set_context(). The page may not display correctly as a result
This is kind of a strange one, as the problem is that Moodle 2 is telling us that the page may not display correctly because I haven't called all the necessary functions that tells the $PAGE object what I am outputting. Of course, since it is outputting into an already existing block on a page using Ajax, this isn't really a problem. Still, there must be something I can do to fix this.

It looks like all I need to do is call "require_login" and "$PAGE->set_context" before doing any output. I'll add require_login right after the require_once statement. Since the $PAGE->set_context requires an actual context to be passed to it, I'll add it right after I create the $block object and pass it the block's context. So the statement is $PAGE->set_context($block->context).

== Materials data, kept here for reference ==
........
(1)
# Sm2NpScP4, relaxed, DFT GGA-PBE
data_Sm2NpScP4
_chemical_formula_sum 'Sm2 Np1 Sc1 P4'
_cell_length_a 6.868
_cell_length_b 3.981
_cell_length_c 6.902
_cell_angle_alpha 90.00
_cell_angle_beta 109.28
_cell_angle_gamma 90.00
_space_group_name_H-M_alt 'P 1 2/m 1'
_space_group_IT_number 10
loop_
_space_group_symop_operation_xyz
'x,y,z'
'-x,-y,-z'
'-x,y,-z'
'x,-y,z'
loop_
_atom_site_label
_atom_site_type_symbol
_atom_site_fract_x
_atom_site_fract_y
_atom_site_fract_z
Sm1 Sm 0.000 0.000 0.000
Sm2 Sm 0.500 0.500 0.000
Np1 Np 0.000 0.500 0.500
Sc1 Sc 0.500 0.000 0.500
P1 P 0.248 0.000 0.733
P2 P 0.259 0.500 0.270
# total energy = -7.645 eV/atom
# E_form = -1.351 eV per atom

---

(2)
# Re3Pb5, relaxed, DFT GGA-PBE
data_Re3Pb5
_chemical_formula_sum 'Re6 Pb10'
_cell_length_a 8.2031
_cell_length_b 8.2031
_cell_length_c 6.1242
_cell_angle_alpha 90.00
_cell_angle_beta 90.00
_cell_angle_gamma 120.00
_space_group_name_H-M_alt 'P 63/m c m'
_space_group_IT_number 193
_space_group_name_Hall '-P 6c 2'
loop_
_atom_site_label
_atom_site_type_symbol
_atom_site_fract_x
_atom_site_fract_y
_atom_site_fract_z
Re1 Re 0.0000 0.3998 0.2500
Pb1 Pb 0.0000 0.2473 0.7500
Pb2 Pb 0.3333 0.6667 0.0000
# energy above the most stable polymorph in this dataset = 58 meV/atom
# total energy = -5.831 eV/atom
# E_form = 1.155 eV per atom

---

(3)
# HfSbSCl2, relaxed, DFT GGA-PBE
data_HfSbSCl2
_chemical_formula_sum 'Hf1 Sb1 S1 Cl2'
_cell_length_a 5.250
_cell_length_b 5.250
_cell_length_c 5.260
_cell_angle_alpha 90.00
_cell_angle_beta 90.00
_cell_angle_gamma 90.00
_space_group_name_H-M_alt 'P 4/m m m'
_space_group_IT_number 123
_space_group_name_Hall '-P 4 2'
loop_
_atom_site_label
_atom_site_type_symbol
_atom_site_fract_x
_atom_site_fract_y
_atom_site_fract_z
Hf1 Hf 0.000 0.000 0.000
Sb1 Sb 0.500 0.500 0.500
S1 S 0.500 0.500 0.000
Cl1 Cl 0.000 0.500 0.500
# E_form (uncorrected) = 0.5054 eV per atom
# energy above the most stable polymorph in this dataset = 1064 meV/atom
# total energy = -3.874 eV/atom

---

(4)
# Dy5Er5Sc2, relaxed, DFT GGA-PBE
data_Dy5Er5Sc2
_chemical_formula_sum 'Dy10 Er10 Sc4'
_cell_length_a 11.550
_cell_length_b 5.502
_cell_length_c 12.035
_cell_angle_alpha 90.00
_cell_angle_beta 109.55
_cell_angle_gamma 90.00
_space_group_name_H-M_alt 'C 1 2/m 1'
_space_group_IT_number 12
loop_
_space_group_symop_operation_xyz
'x,y,z'
'-x,-y,-z'
'-x,y,-z'
'x,-y,z'
'x+1/2,y+1/2,z'
'-x+1/2,-y+1/2,-z'
'-x+1/2,y+1/2,-z'
'x+1/2,-y+1/2,z'
loop_
_atom_site_label
_atom_site_type_symbol
_atom_site_fract_x
_atom_site_fract_y
_atom_site_fract_z
Dy1 Dy 0.000 0.000 0.000
Dy2 Dy 0.177 0.000 0.467
Dy3 Dy 0.235 0.500 0.772
Er1 Er 0.000 0.500 0.500
Er2 Er 0.075 0.500 0.247
Er3 Er 0.191 0.500 0.031
Sc1 Sc 0.087 0.000 0.711
# energy above the most stable polymorph in this dataset = 78 meV/atom
# total energy = -4.761 eV/atom
# E_form = 0.113 eV per atom

---

(5)
# Tb8CeEr4, relaxed, DFT GGA-PBE
data_Tb8CeEr4
_chemical_formula_sum 'Tb24 Ce3 Er12'
_cell_length_a 7.2647
_cell_length_b 7.2647
........

Now I'll look at the page again. Success! The warnings are gone, and I'm getting tweet updates.

For the record, my code now looks like:
require_once '../../config.php';
$id = required_param('blockid', PARAM_NUMBER);
$bi = $DB->get_record('block_instances', array('id' => $id));
$block = block_instance('twitter_search', $bi);
echo $block->get_content()->text;
I still haven't tackled the YUI library location changes, but the block is working, so I'll look at those in the next post.


  1. Actually, there is some constant like 'AJAX_SCRIPT' that you should define, that might be a better way to get rid of those warnings.

    Try looking at a model like https://github.com/moodle/moodle/blob/master/rating/rate_ajax.php

  2. Thanks Tim. I'll look into that and post my findings.
